Activity.
It remains to reproduce everything below word for word.

Contents.
........
Entry 1:
The following is a DFT calculation (PBE) of KBaCa2Co after structural relaxation.

abc: 5.778 5.778 6.029
angles: 90.00 90.00 90.00
Space group P4/mmm (No. 123)
Unique sites:
1 K 0.000 0.000 0.000 x1
2 Ba 0.500 0.500 0.000 x1
3 Ca 0.000 0.500 0.500 x2
4 Co 0.500 0.500 0.500 x1

Output
Energy of formation from the pure elements ... 1.1 eV per formula unit
Crystal system ... tetragonal
Magnetization ... 0.3 μB per formula unit

Entry 2:
The following is a DFT calculation (PBE) of BaCaLa2Co after structural relaxation.

abc: 5.490 5.490 6.047
angles: 90.00 90.00 90.00
Space group P4/mmm (No. 123)
Unique sites:
1 Ba 0.000 0.000 0.000 x1
2 Ca 0.500 0.500 0.000 x1
3 La 0.000 0.500 0.500 x2
4 Co 0.500 0.500 0.500 x1

Output
Energy of formation from the pure elements ... 0.0 eV per formula unit
Offset from the most stable computed form ... 0.0000 eV per atom
Crystal system ... tetragonal
Magnetization ... 0.0 μB per formula unit

Entry 3:
The following is a DFT calculation (PBE) of BaCaLa2Co after structural relaxation.

abc: 5.465 5.465 6.306
angles: 90.00 90.00 90.00
Space group P4/mmm (No. 123)
Unique sites:
1 Ba 0.000 0.000 0.000 x1
2 Ca 0.500 0.500 0.000 x1
3 La 0.000 0.500 0.500 x2
4 Co 0.000 0.000 0.500 x1

Output
Energy of formation from the pure elements ... 0.3 eV per formula unit
Offset from the most stable computed form ... 0.0589 eV per atom
Crystal system ... tetragonal
Magnetization ... 0.0 μB per formula unit

Entry 4:
The following is a DFT calculation (PBE) of BaLiCa2Co after structural relaxation.

abc: 5.532 5.532 5.835
angles: 90.00 90.00 90.00
Space group P4/mmm (No. 123)
Unique sites:
1 Ba 0.000 0.000 0.000 x1
2 Li 0.500 0.500 0.000 x1
3 Ca 0.000 0.500 0.500 x2
4 Co 0.000 0.000 0.500 x1

Output
Energy of formation from the pure elements ... 1.0 eV per formula unit
Crystal system ... tetragonal
Magnetization ... 0.2 μB per formula unit

Entry 5:
The following is a DFT calculation (PBE) of BaCaMgCo2 after structural relaxation.

abc: 4.906 4.906 5.251
angles: 90.00 90.00 90.00
Space group P4/mmm (No. 123)
Unique sites:
1 Ba 0.000 0.000 0.000 x1
2 Ca 0.500 0.500 0.000 x1
3 Mg 0.500 0.500 0.500 x1
4 Co 0.000 0.500 0.500 x2

Output
Energy of formation from the pure elements ... 4.7 eV per formula unit
Crystal system ... tetragonal
Magnetization ... 0.0 μB per formula unit

Entry 6:
The following is a DFT calculation (PBE) of BaCa2MgCo after structural relaxation.

abc: 5.486 5.486 5.336
angles: 90.00 90.00 90.00
Space group P4/mmm (No. 123)
Unique sites:
1 Ba 0.000 0.000 0.000 x1
2 Ca 0.000 0.500 0.500 x2
3 Mg 0.500 0.500 0.000 x1
4 Co 0.500 0.500 0.500 x1

Output
Energy of formation from the pure elements ... 0.7 eV per formula unit
Crystal system ... tetragonal
Magnetization ... 0.0 μB per formula unit

=====

Here is a geometry-optimized Ac2TaPdO6 structure from Alexandria. Energies are from GGA-PBE.

Lattice parameters (Å, degrees): 5.7655 5.7655 4.9127 90.00 90.00 90.00
With the nearest neighbours (Å) after each atom.
Space group P4mm (No. 99)
Inequivalent atoms, fractional coordinates:
Ac 0.0000 0.5000 0.0000 [2 per cell]  4 O 2.50
Ta 0.0000 0.0000 0.5791 [1 per cell]  5 O 1.90-1.95
Pd 0.5000 0.5000 0.5335 [1 per cell]  5 O 2.16-2.39
O 0.0000 0.0000 0.1921 [1 per cell]  1 Ta 1.90
O 0.2257 0.2257 0.7079 [4 per cell]  1 Ta 1.95
O 0.5000 0.5000 0.0936 [1 per cell]  1 Pd 2.16

Computed properties:
As for the formation energy (no corrections): -2495 meV per atom.

***

Here is a geometry-optimized Ac2TbPdO5 structure from Alexandria. Energies are from GGA-PBE.

Lattice parameters (Å, degrees): 6.9227 6.9227 6.0032 90.00 90.00 90.00
With the nearest neighbours (Å) after each atom.
Space group P4/mbm (No. 127)
Inequivalent atoms, fractional coordinates:
Ac 0.1629 0.3371 0.0000 [4 per cell]  4 O 2.32-2.59
Tb 0.0000 0.0000 0.5000 [2 per cell]  10 O 2.91-3.00
Pd 0.0000 0.5000 0.5000 [2 per cell]  4 O 2.14
O 0.0000 0.0000 0.0000 [2 per cell]  4 Ac 2.59
O 0.1693 0.6693 0.2732 [8 per cell]  1 Pd 2.14, 1 Ac 2.32
........

Reply.
Entry 1:
The following is a DFT calculation (PBE) of KBaCa2Co after structural relaxation.

abc: 5.778 5.778 6.029
angles: 90.00 90.00 90.00
Space group P4/mmm (No. 123)
Unique sites:
1 K 0.000 0.000 0.000 x1
2 Ba 0.500 0.500 0.000 x1
3 Ca 0.000 0.500 0.500 x2
4 Co 0.500 0.500 0.500 x1

Output
Energy of formation from the pure elements ... 1.1 eV per formula unit
Crystal system ... tetragonal
Magnetization ... 0.3 μB per formula unit

Entry 2:
The following is a DFT calculation (PBE) of BaCaLa2Co after structural relaxation.

abc: 5.490 5.490 6.047
angles: 90.00 90.00 90.00
Space group P4/mmm (No. 123)
Unique sites:
1 Ba 0.000 0.000 0.000 x1
2 Ca 0.500 0.500 0.000 x1
3 La 0.000 0.500 0.500 x2
4 Co 0.500 0.500 0.500 x1

Output
Energy of formation from the pure elements ... 0.0 eV per formula unit
Offset from the most stable computed form ... 0.0000 eV per atom
Crystal system ... tetragonal
Magnetization ... 0.0 μB per formula unit

Entry 3:
The following is a DFT calculation (PBE) of BaCaLa2Co after structural relaxation.

abc: 5.465 5.465 6.306
angles: 90.00 90.00 90.00
Space group P4/mmm (No. 123)
Unique sites:
1 Ba 0.000 0.000 0.000 x1
2 Ca 0.500 0.500 0.000 x1
3 La 0.000 0.500 0.500 x2
4 Co 0.000 0.000 0.500 x1

Output
Energy of formation from the pure elements ... 0.3 eV per formula unit
Offset from the most stable computed form ... 0.0589 eV per atom
Crystal system ... tetragonal
Magnetization ... 0.0 μB per formula unit

Entry 4:
The following is a DFT calculation (PBE) of BaLiCa2Co after structural relaxation.

abc: 5.532 5.532 5.835
angles: 90.00 90.00 90.00
Space group P4/mmm (No. 123)
Unique sites:
1 Ba 0.000 0.000 0.000 x1
2 Li 0.500 0.500 0.000 x1
3 Ca 0.000 0.500 0.500 x2
4 Co 0.000 0.000 0.500 x1

Output
Energy of formation from the pure elements ... 1.0 eV per formula unit
Crystal system ... tetragonal
Magnetization ... 0.2 μB per formula unit

Entry 5:
The following is a DFT calculation (PBE) of BaCaMgCo2 after structural relaxation.

abc: 4.906 4.906 5.251
angles: 90.00 90.00 90.00
Space group P4/mmm (No. 123)
Unique sites:
1 Ba 0.000 0.000 0.000 x1
2 Ca 0.500 0.500 0.000 x1
3 Mg 0.500 0.500 0.500 x1
4 Co 0.000 0.500 0.500 x2

Output
Energy of formation from the pure elements ... 4.7 eV per formula unit
Crystal system ... tetragonal
Magnetization ... 0.0 μB per formula unit

Entry 6:
The following is a DFT calculation (PBE) of BaCa2MgCo after structural relaxation.

abc: 5.486 5.486 5.336
angles: 90.00 90.00 90.00
Space group P4/mmm (No. 123)
Unique sites:
1 Ba 0.000 0.000 0.000 x1
2 Ca 0.000 0.500 0.500 x2
3 Mg 0.500 0.500 0.000 x1
4 Co 0.500 0.500 0.500 x1

Output
Energy of formation from the pure elements ... 0.7 eV per formula unit
Crystal system ... tetragonal
Magnetization ... 0.0 μB per formula unit

=====

Here is a geometry-optimized Ac2TaPdO6 structure from Alexandria. Energies are from GGA-PBE.

Lattice parameters (Å, degrees): 5.7655 5.7655 4.9127 90.00 90.00 90.00
With the nearest neighbours (Å) after each atom.
Space group P4mm (No. 99)
Inequivalent atoms, fractional coordinates:
Ac 0.0000 0.5000 0.0000 [2 per cell]  4 O 2.50
Ta 0.0000 0.0000 0.5791 [1 per cell]  5 O 1.90-1.95
Pd 0.5000 0.5000 0.5335 [1 per cell]  5 O 2.16-2.39
O 0.0000 0.0000 0.1921 [1 per cell]  1 Ta 1.90
O 0.2257 0.2257 0.7079 [4 per cell]  1 Ta 1.95
O 0.5000 0.5000 0.0936 [1 per cell]  1 Pd 2.16

Computed properties:
As for the formation energy (no corrections): -2495 meV per atom.

***

Here is a geometry-optimized Ac2TbPdO5 structure from Alexandria. Energies are from GGA-PBE.

Lattice parameters (Å, degrees): 6.9227 6.9227 6.0032 90.00 90.00 90.00
With the nearest neighbours (Å) after each atom.
Space group P4/mbm (No. 127)
Inequivalent atoms, fractional coordinates:
Ac 0.1629 0.3371 0.0000 [4 per cell]  4 O 2.32-2.59
Tb 0.0000 0.0000 0.5000 [2 per cell]  10 O 2.91-3.00
Pd 0.0000 0.5000 0.5000 [2 per cell]  4 O 2.14
O 0.0000 0.0000 0.0000 [2 per cell]  4 Ac 2.59
O 0.1693 0.6693 0.2732 [8 per cell]  1 Pd 2.14, 1 Ac 2.32